• Contents:
+++
Density functional theory data (GGA-PBE) for crystalline Ca2RhAuC at its relaxed geometry.

The space group is P4/mmm (No. 123) and the conventional cell measures 5.138, 5.138 and 3.848 Å, with angles of 90.00, 90.00 and 90.00 degrees. The inequivalent atoms are Ca at (0.000, 0.500, 0.000), Rh at (0.000, 0.000, 0.500), Au at (0.500, 0.500, 0.500) and C at (0.000, 0.000, 0.000).

As for the energy above the lowest structure with this stoichiometry: 0 meV/atom. The magnetic moment comes out at 0.000 μB per atom. The crystal system is tetragonal. The formation energy is -0.39 eV per atom. As for the calculated volume: 20.32 A^3/atom.

----------

[1]
A relaxed Cr2Ni9Sb crystal, computed with PBE-GGA.

Results
magnetic moment	4.61	Bohr magnetons per cell
ΔE_f (raw)	-0.5	eV/f.u.

a = 3.6184 Å, b = 3.6184 Å, c = 10.8135 Å
α = 90.00°, β = 90.00°, γ = 90.00°
Space group P4/mmm (No. 123)
Inequivalent atoms, fractional coordinates:
Cr 0.0000 0.0000 0.1599 (multiplicity 2)
Ni 0.0000 0.5000 0.0000 (multiplicity 2)
Ni 0.0000 0.5000 0.3212 (multiplicity 4)
Ni 0.5000 0.5000 0.1613 (multiplicity 2)
Ni 0.5000 0.5000 0.5000 (multiplicity 1)
Sb 0.0000 0.0000 0.5000 (multiplicity 1)

[2]
A relaxed Cr2NiSb2 crystal, computed with PBE-GGA.

Results
ΔE to the lowest computed polymorph	36.5	kJ/mol of atoms
magnetic moment	11.05	Bohr magnetons per cell
ΔE_f (raw)	3.7	eV/f.u.

a = 4.0464 Å, b = 4.0464 Å, c = 12.1663 Å
α = 90.00°, β = 90.00°, γ = 90.00°
Space group I4/mmm (No. 139)
Inequivalent atoms, fractional coordinates:
Cr 0.0000 0.5000 0.2500 (multiplicity 4)
Ni 0.0000 0.0000 0.0000 (multiplicity 2)
Sb 0.0000 0.0000 0.3857 (multiplicity 4)

[3]
A relaxed CrNi3Sb4 crystal, computed with PBE-GGA.

Results
magnetic moment	3.12	Bohr magnetons per cell
ΔE_f (raw)	-1.4	eV/f.u.

a = 4.0057 Å, b = 4.0057 Å, c = 10.5395 Å
α = 90.00°, β = 90.00°, γ = 120.00°
Space group P-3m1 (No. 164)
Inequivalent atoms, fractional coordinates:
Cr 0.0000 0.0000 0.0000 (multiplicity 1)
Ni 0.0000 0.0000 0.2543 (multiplicity 2)
Ni 0.0000 0.0000 0.5000 (multiplicity 1)
Sb 0.3333 0.6667 0.1393 (multiplicity 2)
Sb 0.3333 0.6667 0.6206 (multiplicity 2)

[4]
A relaxed CrNi6Sb crystal, computed with PBE-GGA.

Results
ΔE to the lowest computed polymorph	0.0	kJ/mol of atoms
magnetic moment	2.52	Bohr magnetons per cell
ΔE_f (raw)	-0.5	eV/f.u.

a = 3.6493 Å, b = 3.6493 Å, c = 7.2642 Å
α = 90.00°, β = 90.00°, γ = 90.00°
Space group P4/mmm (No. 123)
Inequivalent atoms, fractional coordinates:
Cr 0.0000 0.0000 0.0000 (multiplicity 1)
Ni 0.0000 0.5000 0.2358 (multiplicity 4)
Ni 0.5000 0.5000 0.0000 (multiplicity 1)
Ni 0.5000 0.5000 0.5000 (multiplicity 1)
Sb 0.0000 0.0000 0.5000 (multiplicity 1)

[5]
A relaxed CrNiSb2 crystal, computed with PBE-GGA.

Results
ΔE to the lowest computed polymorph	37.3	kJ/mol of atoms
magnetic moment	15.28	Bohr magnetons per cell
ΔE_f (raw)	1.3	eV/f.u.

a = 7.3423 Å, b = 7.3423 Å, c = 6.0617 Å
α = 90.00°, β = 90.00°, γ = 90.00°
Space group I-42d (No. 122)
Inequivalent atoms, fractional coordinates:
Cr 0.0000 0.0000 0.0000 (multiplicity 4)
Ni 0.0000 0.0000 0.5000 (multiplicity 4)
Sb 0.2147 0.2500 0.6250 (multiplicity 8)

[6]
A relaxed CrNiSb2 crystal, computed with PBE-GGA.

Results
ΔE to the lowest computed polymorph	28.0	kJ/mol of atoms
magnetic moment	3.25	Bohr magnetons per cell
ΔE_f (raw)	0.9	eV/f.u.

a = 4.7317 Å, b = 4.7317 Å, c = 3.2628 Å
α = 90.00°, β = 90.00°, γ = 90.00°
Space group P4/mmm (No. 123)
Inequivalent atoms, fractional coordinates:
Cr 0.0000 0.0000 0.0000 (multiplicity 1)
Ni 0.5000 0.5000 0.0000 (multiplicity 1)
Sb 0.0000 0.5000 0.5000 (multiplicity 2)

[7]
A relaxed CrNiSb4 crystal, computed with PBE-GGA.

Results
ΔE to the lowest computed polymorph	85.9	kJ/mol of atoms
magnetic moment	13.91	Bohr magnetons per cell
ΔE_f (raw)	5.4	eV/f.u.

a = 8.6070 Å, b = 8.6070 Å, c = 8.6070 Å
α = 90.00°, β = 90.00°, γ = 90.00°
Space group F-43m (No. 216)
Inequivalent atoms, fractional coordinates:
Cr 0.0000 0.0000 0.0000 (multiplicity 4)
+++

• Activity:
Now transcribe the lines further above from the one with "[4]" to the one with "relaxed CrNi6Sb" with every line break kept.

• Reply:
[4]
A relaxed CrNi6Sb crystal, computed with PBE-GGA.